-- Contents --
Entry 1:
# C24H69N3O6

9 unconnected molecules or ions with the total composition C24H69N3O6 (ωB97M-V with the def2-TZVPD basis set, the OMol25 dataset).

Geometry (Å):
1 C 2.52 -3.64 -0.76
2 C 1.97 -2.61 -1.69
3 N 2.77 -2.43 -2.91
4 C 3.95 -1.69 -2.69
5 C 4.99 -1.88 -3.72
6 C 2.02 -1.72 -3.93
7 C 1.23 -2.75 -4.75
8 H 2.55 -4.59 -1.28
9 H 1.84 -3.53 0.04
10 H 3.51 -3.39 -0.34
11 H 0.93 -2.93 -2.01
12 H 1.78 -1.65 -1.11
13 H 3.75 -0.57 -2.65
14 H 4.42 -1.94 -1.66
15 H 5.51 -2.83 -3.69
16 H 4.54 -1.79 -4.74
17 H 5.65 -1.02 -3.62
18 H 2.75 -1.26 -4.65
19 H 1.30 -0.96 -3.48
20 H 1.92 -3.69 -4.88
21 H 0.93 -2.39 -5.70
22 H 0.38 -3.15 -4.22
23 C -3.37 1.81 2.01
24 C -3.55 0.43 2.79
25 N -3.68 0.48 4.28
26 C -3.98 -0.82 4.80
27 C -2.76 -1.77 4.80
28 C -4.62 1.51 4.66
29 C -4.64 1.69 6.19
30 H -4.31 2.38 1.85
31 H -2.92 1.59 1.00
32 H -2.57 2.46 2.49
33 H -4.40 -0.11 2.35
34 H -2.66 -0.16 2.55
35 H -4.22 -0.70 5.84
36 H -4.81 -1.27 4.25
37 H -2.25 -1.78 3.87
38 H -2.09 -1.44 5.63
39 H -3.14 -2.75 5.05
40 H -5.62 1.24 4.36
41 H -4.28 2.37 4.10
42 H -5.39 2.39 6.49
43 H -3.69 2.04 6.54
44 H -4.92 0.79 6.73
45 C 0.78 1.22 -5.59
46 C 1.68 2.31 -5.10
47 N 1.01 3.05 -4.04
48 C 0.40 4.25 -4.57
49 C -0.40 5.07 -3.56
50 C 1.91 3.45 -2.92
51 C 2.39 2.25 -2.12
52 H 1.36 0.52 -6.18
53 H -0.07 1.60 -6.22
54 H 0.39 0.61 -4.75
55 H 2.72 1.94 -4.74
56 H 1.99 2.96 -5.97
57 H 1.22 4.81 -5.07
58 H -0.28 3.91 -5.36
59 H 0.11 5.67 -2.72
60 H -1.06 5.74 -4.11
61 H -1.09 4.36 -3.10
62 H 1.34 4.03 -2.18
63 H 2.77 4.00 -3.30
64 H 2.95 2.68 -1.24
65 H 3.14 1.71 -2.70
66 H 1.59 1.58 -1.78
67 C 1.13 -1.55 5.63
68 O 1.33 -2.16 4.33
69 H 0.11 -1.77 5.93
70 H 1.78 -1.95 6.35
71 H 1.30 -0.49 5.53
72 H 1.03 -1.54 3.66
73 C -0.30 1.98 3.88
74 O -1.13 1.79 5.03
75 H -0.72 2.61 3.08
76 H 0.58 2.39 4.27
77 H -0.14 1.05 3.37
78 H -1.96 1.30 4.76
79 C -2.28 1.26 -3.25
80 O -0.95 1.29 -2.69
81 H -2.63 0.25 -2.99
82 H -2.92 2.01 -2.85
83 H -2.17 1.35 -4.36
84 H -0.34 1.86 -3.14
85 C 2.52 -0.08 1.64
86 O 1.21 -0.57 1.86
87 H 2.41 0.96 1.25
88 H 2.90 -0.12 2.66
89 H 3.16 -0.66 1.00
90 H 0.60 -0.33 1.13
91 C -1.33 -1.58 -0.30
92 O -0.79 -0.26 -0.22
93 H -0.69 -2.25 -0.93
94 H -1.30 -2.01 0.71
95 H -2.38 -1.57 -0.64
96 H -0.85 0.19 -1.08
97 C 0.13 -4.77 2.34
98 O -0.52 -3.74 3.05
99 H -0.30 -4.82 1.37
100 H 1.19 -4.66 2.29
101 H -0.12 -5.73 2.81
102 H 0.21 -3.38 3.61

Computed properties:
LUMO level: 0.0226 Eh
SMILES: CCN(CC)CC.CCN(CC)CC.CCN(CC)CC.CO.CO.CO.CO.CO.CO

-- What to do --
Your job: search the listing earlier on for the word "the" and set down each line that has it.

-- Response --
9 unconnected molecules or ions with the total composition C24H69N3O6 (ωB97M-V with the def2-TZVPD basis set, the OMol25 dataset).